## Assignment
Now return the calculation results further below from the line with "_symmetry_space_group_name_H-M 'P" to the end verbatim.

## Input
/*
# LaMn2CdO6 (PBE with a Hubbard U, relaxed)
data_LaMn2CdO6
_chemical_formula_sum 'La2 Mn4 Cd2 O12'
_symmetry_space_group_name_H-M 'P 1'
_symmetry_Int_Tables_number 1
_cell_length_a 5.468
_cell_length_b 5.494
_cell_length_c 9.377
_cell_angle_alpha 74.33
_cell_angle_beta 74.29
_cell_angle_gamma 60.99
loop_
_symmetry_equiv_pos_as_xyz
'x,y,z'
loop_
_atom_site_label
_atom_site_type_symbol
_atom_site_fract_x
_atom_site_fract_y
_atom_site_fract_z
La1 La 0.000 0.000 0.000
La2 La 0.480 0.523 0.500
Mn1 Mn 0.107 0.151 0.624
Mn2 Mn 0.367 0.381 0.876
Mn3 Mn 0.626 0.620 0.124
Mn4 Mn 0.863 0.890 0.376
Cd1 Cd 0.253 0.249 0.250
Cd2 Cd 0.734 0.767 0.750
O1 O 0.009 0.560 0.008
O2 O 0.050 0.950 0.503
O3 O 0.147 0.357 0.749
O4 O 0.278 0.650 0.247
O5 O 0.304 0.801 0.748
O6 O 0.450 0.977 0.003
O7 O 0.457 0.100 0.497
O8 O 0.581 0.434 0.993
O9 O 0.667 0.832 0.249
O10 O 0.727 0.189 0.746
O11 O 0.842 0.244 0.246
O12 O 0.909 0.525 0.505
# Polymorph energy (0 for the lowest one) ... 4 meV/atom
# ΔE_f ... -223.1 kJ per mole of atoms
*/

## Result
_symmetry_space_group_name_H-M 'P 1'
_symmetry_Int_Tables_number 1
_cell_length_a 5.468
_cell_length_b 5.494
_cell_length_c 9.377
_cell_angle_alpha 74.33
_cell_angle_beta 74.29
_cell_angle_gamma 60.99
loop_
_symmetry_equiv_pos_as_xyz
'x,y,z'
loop_
_atom_site_label
_atom_site_type_symbol
_atom_site_fract_x
_atom_site_fract_y
_atom_site_fract_z
La1 La 0.000 0.000 0.000
La2 La 0.480 0.523 0.500
Mn1 Mn 0.107 0.151 0.624
Mn2 Mn 0.367 0.381 0.876
Mn3 Mn 0.626 0.620 0.124
Mn4 Mn 0.863 0.890 0.376
Cd1 Cd 0.253 0.249 0.250
Cd2 Cd 0.734 0.767 0.750
O1 O 0.009 0.560 0.008
O2 O 0.050 0.950 0.503
O3 O 0.147 0.357 0.749
O4 O 0.278 0.650 0.247
O5 O 0.304 0.801 0.748
O6 O 0.450 0.977 0.003
O7 O 0.457 0.100 0.497
O8 O 0.581 0.434 0.993
O9 O 0.667 0.832 0.249
O10 O 0.727 0.189 0.746
O11 O 0.842 0.244 0.246
O12 O 0.909 0.525 0.505
# Polymorph energy (0 for the lowest one) ... 4 meV/atom
# ΔE_f ... -223.1 kJ per mole of atoms